## Listing
# 1
Below is a relaxed Ga12Bi3Sb5 crystal, with properties calculated at the PBE level.

Lattice parameters (Å, degrees): 14.5450 14.5450 14.5450 109.47 109.47 109.47
Closest atoms and distances in Å follow each position.
Element x y z (fractional)
Ga (0.0593, 0.2264, 0.1431)  2 Sb 2.75-2.87, 2 Bi 3.04-3.05
Ga (0.0593, 0.3328, 0.9162)  2 Sb 2.75-2.87, 2 Bi 3.04-3.05
Ga (0.0833, 0.7264, 0.6672)  2 Sb 2.75-2.87, 2 Bi 3.04-3.05
Ga (0.0833, 0.8569, 0.4162)  2 Sb 2.75-2.87, 2 Bi 3.04-3.05
Ga (0.0838, 0.6431, 0.4167)  2 Sb 2.75-2.87, 2 Bi 3.04-3.05
Ga (0.0838, 0.9407, 0.6672)  2 Sb 2.75-2.87, 2 Bi 3.04-3.05
Ga (0.1431, 0.0593, 0.2264)  2 Sb 2.75-2.87, 2 Bi 3.04-3.05
Ga (0.1431, 0.5838, 0.9167)  2 Sb 2.75-2.87, 2 Bi 3.04-3.05
Ga (0.1672, 0.2264, 0.5833)  2 Sb 2.75-2.87, 2 Bi 3.04-3.05
Ga (0.1672, 0.4407, 0.5838)  2 Sb 2.75-2.87, 2 Bi 3.04-3.05
Ga (0.2264, 0.1431, 0.0593)  2 Sb 2.75-2.87, 2 Bi 3.04-3.05
Ga (0.2264, 0.5833, 0.1672)  2 Sb 2.75-2.87, 2 Bi 3.04-3.05
Ga (0.2736, 0.3328, 0.9167)  2 Sb 2.75-2.87, 2 Bi 3.04-3.05
Ga (0.2736, 0.4407, 0.3569)  2 Sb 2.75-2.87, 2 Bi 3.04-3.05
Ga (0.3328, 0.9162, 0.0593)  2 Sb 2.75-2.87, 2 Bi 3.04-3.05
Ga (0.3328, 0.9167, 0.2736)  2 Sb 2.75-2.87, 2 Bi 3.04-3.05
Ga (0.3569, 0.2736, 0.4407)  2 Sb 2.75-2.87, 2 Bi 3.04-3.05
Ga (0.3569, 0.5833, 0.9162)  2 Sb 2.75-2.87, 2 Bi 3.04-3.05
Ga (0.4162, 0.0833, 0.8569)  2 Sb 2.75-2.87, 2 Bi 3.04-3.05
Ga (0.4162, 0.8328, 0.5593)  2 Sb 2.75-2.87, 2 Bi 3.04-3.05
Ga (0.4167, 0.0838, 0.6431)  2 Sb 2.75-2.87, 2 Bi 3.04-3.05
Ga (0.4167, 0.8328, 0.7736)  2 Sb 2.75-2.87, 2 Bi 3.04-3.05
Ga (0.4407, 0.3569, 0.2736)  2 Sb 2.75-2.87, 2 Bi 3.04-3.05
Ga (0.4407, 0.5838, 0.1672)  2 Sb 2.75-2.87, 2 Bi 3.04-3.05
Ga (0.5593, 0.4162, 0.8328)  2 Sb 2.75-2.87, 2 Bi 3.04-3.05
Ga (0.5593, 0.6431, 0.7264)  2 Sb 2.75-2.87, 2 Bi 3.04-3.05
Ga (0.5833, 0.1672, 0.2264)  2 Sb 2.75-2.87, 2 Bi 3.04-3.05
Ga (0.5833, 0.9162, 0.3569)  2 Sb 2.75-2.87, 2 Bi 3.04-3.05
Ga (0.5838, 0.1672, 0.4407)  2 Sb 2.75-2.87, 2 Bi 3.04-3.05
Ga (0.5838, 0.9167, 0.1431)  2 Sb 2.75-2.87, 2 Bi 3.04-3.05
Ga (0.6431, 0.4167, 0.0838)  2 Sb 2.75-2.87, 2 Bi 3.04-3.05
Ga (0.6431, 0.7264, 0.5593)  2 Sb 2.75-2.87, 2 Bi 3.04-3.05
Ga (0.6672, 0.0833, 0.7264)  2 Sb 2.75-2.87, 2 Bi 3.04-3.05
Ga (0.6672, 0.0838, 0.9407)  2 Sb 2.75-2.87, 2 Bi 3.04-3.05
Ga (0.7264, 0.5593, 0.6431)  2 Sb 2.75-2.87, 2 Bi 3.04-3.05
Ga (0.7264, 0.6672, 0.0833)  2 Sb 2.75-2.87, 2 Bi 3.04-3.05
Ga (0.7736, 0.4167, 0.8328)  2 Sb 2.75-2.87, 2 Bi 3.04-3.05
Ga (0.7736, 0.8569, 0.9407)  2 Sb 2.75-2.87, 2 Bi 3.04-3.05
Ga (0.8328, 0.5593, 0.4162)  2 Sb 2.75-2.87, 2 Bi 3.04-3.05
Ga (0.8328, 0.7736, 0.4167)  2 Sb 2.75-2.87, 2 Bi 3.04-3.05
Ga (0.8569, 0.4162, 0.0833)  2 Sb 2.75-2.87, 2 Bi 3.04-3.05
Ga (0.8569, 0.9407, 0.7736)  2 Sb 2.75-2.87, 2 Bi 3.04-3.05
Ga (0.9162, 0.0593, 0.3328)  2 Sb 2.75-2.87, 2 Bi 3.04-3.05
Ga (0.9162, 0.3569, 0.5833)  2 Sb 2.75-2.87, 2 Bi 3.04-3.05
Ga (0.9167, 0.1431, 0.5838)  2 Sb 2.75-2.87, 2 Bi 3.04-3.05
Ga (0.9167, 0.2736, 0.3328)  2 Sb 2.75-2.87, 2 Bi 3.04-3.05
Ga (0.9407, 0.6672, 0.0838)  2 Sb 2.75-2.87, 2 Bi 3.04-3.05
Ga (0.9407, 0.7736, 0.8569)  2 Sb 2.75-2.87, 2 Bi 3.04-3.05
Bi (0.1250, 0.2500, 0.3750)  8 Ga 3.04-3.05
Bi (0.1250, 0.3750, 0.7500)  8 Ga 3.04-3.05
Bi (0.2500, 0.3750, 0.1250)  8 Ga 3.04-3.05
Bi (0.2500, 0.8750, 0.6250)  8 Ga 3.04-3.05
Bi (0.3750, 0.1250, 0.2500)  8 Ga 3.04-3.05
Bi (0.3750, 0.7500, 0.1250)  8 Ga 3.04-3.05
Bi (0.6250, 0.2500, 0.8750)  8 Ga 3.04-3.05
Bi (0.6250, 0.8750, 0.7500)  8 Ga 3.04-3.05
Bi (0.7500, 0.1250, 0.3750)  8 Ga 3.04-3.05
Bi (0.7500, 0.6250, 0.8750)  8 Ga 3.04-3.05
Bi (0.8750, 0.6250, 0.2500)  8 Ga 3.04-3.05
Bi (0.8750, 0.7500, 0.6250)  8 Ga 3.04-3.05
Sb (0.0000, 0.0000, 0.0000)  6 Ga 2.87
Sb (0.0000, 0.0000, 0.5000)  6 Ga 2.87
Sb (0.0000, 0.5000, 0.0000)  6 Ga 2.87
Sb (0.0000, 0.5000, 0.5000)  6 Ga 2.87
Sb (0.1250, 0.7500, 0.8750)  4 Ga 2.75
Sb (0.1250, 0.8750, 0.2500)  4 Ga 2.75
Sb (0.2500, 0.1250, 0.8750)  4 Ga 2.75
Sb (0.2500, 0.6250, 0.3750)  4 Ga 2.75

## What to do
Your job: give back the data further up verbatim.

## Response
# 1
Below is a relaxed Ga12Bi3Sb5 crystal, with properties calculated at the PBE level.

Lattice parameters (Å, degrees): 14.5450 14.5450 14.5450 109.47 109.47 109.47
Closest atoms and distances in Å follow each position.
Element x y z (fractional)
Ga (0.0593, 0.2264, 0.1431)  2 Sb 2.75-2.87, 2 Bi 3.04-3.05
Ga (0.0593, 0.3328, 0.9162)  2 Sb 2.75-2.87, 2 Bi 3.04-3.05
Ga (0.0833, 0.7264, 0.6672)  2 Sb 2.75-2.87, 2 Bi 3.04-3.05
Ga (0.0833, 0.8569, 0.4162)  2 Sb 2.75-2.87, 2 Bi 3.04-3.05
Ga (0.0838, 0.6431, 0.4167)  2 Sb 2.75-2.87, 2 Bi 3.04-3.05
Ga (0.0838, 0.9407, 0.6672)  2 Sb 2.75-2.87, 2 Bi 3.04-3.05
Ga (0.1431, 0.0593, 0.2264)  2 Sb 2.75-2.87, 2 Bi 3.04-3.05
Ga (0.1431, 0.5838, 0.9167)  2 Sb 2.75-2.87, 2 Bi 3.04-3.05
Ga (0.1672, 0.2264, 0.5833)  2 Sb 2.75-2.87, 2 Bi 3.04-3.05
Ga (0.1672, 0.4407, 0.5838)  2 Sb 2.75-2.87, 2 Bi 3.04-3.05
Ga (0.2264, 0.1431, 0.0593)  2 Sb 2.75-2.87, 2 Bi 3.04-3.05
Ga (0.2264, 0.5833, 0.1672)  2 Sb 2.75-2.87, 2 Bi 3.04-3.05
Ga (0.2736, 0.3328, 0.9167)  2 Sb 2.75-2.87, 2 Bi 3.04-3.05
Ga (0.2736, 0.4407, 0.3569)  2 Sb 2.75-2.87, 2 Bi 3.04-3.05
Ga (0.3328, 0.9162, 0.0593)  2 Sb 2.75-2.87, 2 Bi 3.04-3.05
Ga (0.3328, 0.9167, 0.2736)  2 Sb 2.75-2.87, 2 Bi 3.04-3.05
Ga (0.3569, 0.2736, 0.4407)  2 Sb 2.75-2.87, 2 Bi 3.04-3.05
Ga (0.3569, 0.5833, 0.9162)  2 Sb 2.75-2.87, 2 Bi 3.04-3.05
Ga (0.4162, 0.0833, 0.8569)  2 Sb 2.75-2.87, 2 Bi 3.04-3.05
Ga (0.4162, 0.8328, 0.5593)  2 Sb 2.75-2.87, 2 Bi 3.04-3.05
Ga (0.4167, 0.0838, 0.6431)  2 Sb 2.75-2.87, 2 Bi 3.04-3.05
Ga (0.4167, 0.8328, 0.7736)  2 Sb 2.75-2.87, 2 Bi 3.04-3.05
Ga (0.4407, 0.3569, 0.2736)  2 Sb 2.75-2.87, 2 Bi 3.04-3.05
Ga (0.4407, 0.5838, 0.1672)  2 Sb 2.75-2.87, 2 Bi 3.04-3.05
Ga (0.5593, 0.4162, 0.8328)  2 Sb 2.75-2.87, 2 Bi 3.04-3.05
Ga (0.5593, 0.6431, 0.7264)  2 Sb 2.75-2.87, 2 Bi 3.04-3.05
Ga (0.5833, 0.1672, 0.2264)  2 Sb 2.75-2.87, 2 Bi 3.04-3.05
Ga (0.5833, 0.9162, 0.3569)  2 Sb 2.75-2.87, 2 Bi 3.04-3.05
Ga (0.5838, 0.1672, 0.4407)  2 Sb 2.75-2.87, 2 Bi 3.04-3.05
Ga (0.5838, 0.9167, 0.1431)  2 Sb 2.75-2.87, 2 Bi 3.04-3.05
Ga (0.6431, 0.4167, 0.0838)  2 Sb 2.75-2.87, 2 Bi 3.04-3.05
Ga (0.6431, 0.7264, 0.5593)  2 Sb 2.75-2.87, 2 Bi 3.04-3.05
Ga (0.6672, 0.0833, 0.7264)  2 Sb 2.75-2.87, 2 Bi 3.04-3.05
Ga (0.6672, 0.0838, 0.9407)  2 Sb 2.75-2.87, 2 Bi 3.04-3.05
Ga (0.7264, 0.5593, 0.6431)  2 Sb 2.75-2.87, 2 Bi 3.04-3.05
Ga (0.7264, 0.6672, 0.0833)  2 Sb 2.75-2.87, 2 Bi 3.04-3.05
Ga (0.7736, 0.4167, 0.8328)  2 Sb 2.75-2.87, 2 Bi 3.04-3.05
Ga (0.7736, 0.8569, 0.9407)  2 Sb 2.75-2.87, 2 Bi 3.04-3.05
Ga (0.8328, 0.5593, 0.4162)  2 Sb 2.75-2.87, 2 Bi 3.04-3.05
Ga (0.8328, 0.7736, 0.4167)  2 Sb 2.75-2.87, 2 Bi 3.04-3.05
Ga (0.8569, 0.4162, 0.0833)  2 Sb 2.75-2.87, 2 Bi 3.04-3.05
Ga (0.8569, 0.9407, 0.7736)  2 Sb 2.75-2.87, 2 Bi 3.04-3.05
Ga (0.9162, 0.0593, 0.3328)  2 Sb 2.75-2.87, 2 Bi 3.04-3.05
Ga (0.9162, 0.3569, 0.5833)  2 Sb 2.75-2.87, 2 Bi 3.04-3.05
Ga (0.9167, 0.1431, 0.5838)  2 Sb 2.75-2.87, 2 Bi 3.04-3.05
Ga (0.9167, 0.2736, 0.3328)  2 Sb 2.75-2.87, 2 Bi 3.04-3.05
Ga (0.9407, 0.6672, 0.0838)  2 Sb 2.75-2.87, 2 Bi 3.04-3.05
Ga (0.9407, 0.7736, 0.8569)  2 Sb 2.75-2.87, 2 Bi 3.04-3.05
Bi (0.1250, 0.2500, 0.3750)  8 Ga 3.04-3.05
Bi (0.1250, 0.3750, 0.7500)  8 Ga 3.04-3.05
Bi (0.2500, 0.3750, 0.1250)  8 Ga 3.04-3.05
Bi (0.2500, 0.8750, 0.6250)  8 Ga 3.04-3.05
Bi (0.3750, 0.1250, 0.2500)  8 Ga 3.04-3.05
Bi (0.3750, 0.7500, 0.1250)  8 Ga 3.04-3.05
Bi (0.6250, 0.2500, 0.8750)  8 Ga 3.04-3.05
Bi (0.6250, 0.8750, 0.7500)  8 Ga 3.04-3.05
Bi (0.7500, 0.1250, 0.3750)  8 Ga 3.04-3.05
Bi (0.7500, 0.6250, 0.8750)  8 Ga 3.04-3.05
Bi (0.8750, 0.6250, 0.2500)  8 Ga 3.04-3.05
Bi (0.8750, 0.7500, 0.6250)  8 Ga 3.04-3.05
Sb (0.0000, 0.0000, 0.0000)  6 Ga 2.87
Sb (0.0000, 0.0000, 0.5000)  6 Ga 2.87
Sb (0.0000, 0.5000, 0.0000)  6 Ga 2.87
Sb (0.0000, 0.5000, 0.5000)  6 Ga 2.87
Sb (0.1250, 0.7500, 0.8750)  4 Ga 2.75
Sb (0.1250, 0.8750, 0.2500)  4 Ga 2.75
Sb (0.2500, 0.1250, 0.8750)  4 Ga 2.75
Sb (0.2500, 0.6250, 0.3750)  4 Ga 2.75